Source code for agency.api

from dateutil.parser import isoparse
from functools import cached_property
from import ExtendedPersonCollection
from import PaginatedAgencyCollection
from import PaginatedMembershipCollection
from import PersonMutationForm
from onegov.api import ApiEndpoint, ApiInvalidParamException
from onegov.gis import Coordinates

from typing import Any
from typing import TYPE_CHECKING
    from import AgencyApp
    from import ExtendedAgency
    from import ExtendedAgencyMembership
    from import ExtendedPerson
    from onegov.core.orm.mixins import ContentMixin
    from onegov.core.orm.mixins import TimestampMixin
    from typing import TypeVar

[docs] T = TypeVar('T')
[docs] UPDATE_FILTER_PARAMS = frozenset(( 'updated_gt', 'updated_lt', 'updated_eq', 'updated_ge', 'updated_le' ))
Attached: records of crystals:
/*
Model 1:
A relaxed SrCa2Ni crystal. Source: Alexandria via LeMat-Bulk, functional PBE-GGA.

Unit cell a=4.853 b=4.853 c=5.316 alpha=90.00 beta=90.00 gamma=90.00
Space group P4/mmm (No. 123)
Symmetry-distinct sites (fractional):
Sr  0.000  0.000  0.000 x1
Ca  0.000  0.500  0.500 x2
Ni  0.500  0.500  0.000 x1

Values from the calculation:
- mass density (g/cm³) = 3.00
- DOS at the Fermi energy (states/eV/cell) = 4.7

=====

Model 2:
A relaxed SrCa2Ni crystal. Source: Alexandria via LeMat-Bulk, functional PBE-GGA.

Unit cell a=5.082 b=5.082 c=9.732 alpha=90.00 beta=90.00 gamma=90.00
Space group I-4m2 (No. 119)
Symmetry-distinct sites (fractional):
Sr  0.000  0.000  0.000 x2
Ca  0.000  0.000  0.500 x2
Ca  0.000  0.500  0.750 x2
Ni  0.000  0.500  0.250 x2

Values from the calculation:
- mass density (g/cm³) = 2.99
- DOS at the Fermi energy (states/eV/cell) = 7.2

=====

Model 3:
A relaxed SrCa2Ni crystal. Source: Alexandria via LeMat-Bulk, functional PBE-GGA.

Unit cell a=4.802 b=4.802 c=10.919 alpha=90.00 beta=90.00 gamma=90.00
Space group I4/mmm (No. 139)
Symmetry-distinct sites (fractional):
Sr  0.000  0.000  0.000 x2
Ca  0.000  0.500  0.250 x4
Ni  0.000  0.000  0.500 x2

Values from the calculation:
- mass density (g/cm³) = 2.99
- DOS at the Fermi energy (states/eV/cell) = 5.6

=====

Ordering by calculated energy gives the sequence model 1, model 3, model 2, with the first entry being the most stable.

=====

Model 1:
A relaxed SrCa2Ni crystal. Source: Alexandria via LeMat-Bulk, functional PBE-GGA.

Unit cell a=6.730 b=11.651 c=3.775 alpha=90.00 beta=118.59 gamma=90.00
Space group C2/m (No. 12)
Symmetry-distinct sites (fractional):
Sr  0.000  0.000  0.000 x2
Ca  0.250  0.250  0.500 x4
Ni  0.000  0.500  0.000 x2

Values from the calculation:
- mass density (g/cm³) = 2.89
- DOS at the Fermi energy (states/eV/cell) = 7.2

=====

Model 2:
A relaxed SrCa2Ni crystal. Source: Alexandria via LeMat-Bulk, functional PBE-GGA.

Unit cell a=4.0863 b=4.0863 c=29.9194 alpha=90.00 beta=90.00 gamma=120.00
Space group R-3m (No. 166, hexagonal axes)
Symmetry-distinct sites (fractional):
Sr  0.0000  0.0000  0.0000 x3
Ca  0.0000  0.0000  0.2175 x6
Ni  0.0000  0.0000  0.5000 x3

Values from the calculation:
- mass density (g/cm³) = 2.61
- DOS at the Fermi energy (states/eV/cell) = 6.8

=====

Model 3:
A relaxed SrCa2Ni crystal. Source: Alexandria via LeMat-Bulk, functional PBE-GGA.

Unit cell a=6.086 b=4.015 c=6.728 alpha=90.00 beta=116.71 gamma=90.00
Space group P2/m (No. 10)
Symmetry-distinct sites (fractional):
Sr  0.000  0.000  0.000 x1
Ca  0.342  0.500  0.685 x2
Ni  0.500  0.000  0.000 x1

Values from the calculation:
- mass density (g/cm³) = 2.56
- DOS at the Fermi energy (states/eV/cell) = 3.3

=====

Ordering by calculated energy gives the sequence model 3, model 2, model 1, with the first entry being the most stable.

=====

Model 1:
A relaxed SrCaNi3 crystal. Source: Alexandria via LeMat-Bulk, functional PBE-GGA.
*/
End of the records of crystals:
[docs] def filter_for_updated( filter_operation: str, filter_value: str | None, result: 'T' ) -> 'T': """ Applies filters for several 'updated' comparisons. Refer to UPDATE_FILTER_PARAMS for all filter keywords. :param filter_operation: the updated filter operation to be applied. For allowed filters refer to UPDATE_FILTER_PARAMS :param filter_value: the updated filter value to filter for :param result: the results to apply the filters on :return: filter result """ assert hasattr(result, 'for_filter') if filter_value is None: return result.for_filter(**{filter_operation: None}) try: # only parse including hours and minutes isoparse(filter_value[:16]) except Exception as ex: raise ApiInvalidParamException(f'Invalid iso timestamp for parameter' f"'{filter_operation}': {ex}") from ex return result.for_filter(**{filter_operation: filter_value[:16]})
[docs] class ApisMixin:
[docs] app: 'AgencyApp'
[docs] def agency_api(self) -> 'AgencyApiEndpoint': return AgencyApiEndpoint(
[docs] def person_api(self) -> 'PersonApiEndpoint': return PersonApiEndpoint(
[docs] def membership_api(self) -> 'MembershipApiEndpoint': return MembershipApiEndpoint(
[docs] def get_geo_location(item: 'ContentMixin') -> dict[str, Any]: geo = item.content.get('coordinates', Coordinates()) or Coordinates() return {'lon': geo.lon, 'lat':, 'zoom': geo.zoom}
[docs] def get_modified_iso_format(item: 'TimestampMixin') -> str: """ Returns the iso format of the modified or created field of item. :param item: db item e.g. agency, people, membership :return: str iso representation of item last modification """ return item.last_change.isoformat()
[docs] class PersonApiEndpoint(ApiEndpoint['ExtendedPerson'], ApisMixin):
[docs] app: 'AgencyApp'
[docs] endpoint = 'people'
[docs] filters = {'first_name', 'last_name'} | UPDATE_FILTER_PARAMS
[docs] form_class = PersonMutationForm
[docs] def collection(self) -> ExtendedPersonCollection: result = ExtendedPersonCollection( self.session, or 0 ) for key, value in self.extra_parameters.items(): self.assert_valid_filter(key) # apply different filters if key == 'first_name': result = result.for_filter(first_name=value) elif key == 'last_name': result = result.for_filter(last_name=value) elif key in UPDATE_FILTER_PARAMS: result = filter_for_updated(filter_operation=key, filter_value=value, result=result) result.exclude_hidden = True result.batch_size = self.batch_size return result
[docs] def item_data(self, item: 'ExtendedPerson') -> dict[str, Any]: data = { attribute: getattr(item, attribute, None) for attribute in ( 'academic_title', 'born', 'email', 'first_name', 'function', 'last_name', 'location_address', 'location_code_city', 'notes', 'parliamentary_group', 'phone', 'phone_direct', 'political_party', 'postal_address', 'postal_code_city', 'profession', 'salutation', 'title', 'website', ) if attribute not in } data['modified'] = get_modified_iso_format(item) return data
[docs] def apply_changes( self, item: 'ExtendedPerson', form: PersonMutationForm ) -> None: # FIXME: circular import from import do_report_person_change do_report_person_change(item, form.meta.request, form)
[docs] class AgencyApiEndpoint(ApiEndpoint['ExtendedAgency'], ApisMixin):
[docs] app: 'AgencyApp'
[docs] endpoint = 'agencies'
[docs] filters = {'parent', 'title'} | UPDATE_FILTER_PARAMS
[docs] def collection(self) -> PaginatedAgencyCollection: result = PaginatedAgencyCollection( self.session, or 0, parent=self.get_filter('parent', None, False), joinedload=['organigram'], undefer=['content'] ) for key, value in self.extra_parameters.items(): self.assert_valid_filter(key) # apply different filters if key == 'title': result = result.for_filter(title=value) elif key in UPDATE_FILTER_PARAMS: result = filter_for_updated(filter_operation=key, filter_value=value, result=result) result.batch_size = self.batch_size return result
[docs] def item_data(self, item: 'ExtendedAgency') -> dict[str, Any]: return { 'title': item.title, 'portrait': item.portrait, 'location_address': item.location_address, 'location_code_city': item.location_code_city, 'modified': get_modified_iso_format(item), 'postal_address': item.postal_address, 'postal_code_city': item.postal_code_city, 'website':, 'email':, 'phone':, 'phone_direct': item.phone_direct, 'opening_hours': item.opening_hours, 'geo_location': get_geo_location(item), }
[docs] class MembershipApiEndpoint( ApiEndpoint['ExtendedAgencyMembership'], ApisMixin ):
[docs] app: 'AgencyApp'
[docs] endpoint = 'memberships'
[docs] filters = {'agency', 'person'} | UPDATE_FILTER_PARAMS
[docs] def collection(self) -> PaginatedMembershipCollection: result = PaginatedMembershipCollection( self.session, or 0, agency=self.get_filter('agency'), person=self.get_filter('person'), ) for key, value in self.extra_parameters.items(): self.assert_valid_filter(key) # apply different filters if key in UPDATE_FILTER_PARAMS: result = filter_for_updated(filter_operation=key, filter_value=value, result=result) result.batch_size = self.batch_size return result
[docs] def item_data(self, item: 'ExtendedAgencyMembership') -> dict[str, Any]: return { 'title': item.title, 'modified': get_modified_iso_format(item), }